It remains to print the lines further down up to the one that holds "In2 Sn8'", that line included.

- - -
No. 1
This record from Alexandria describes a relaxed Hf4NiRh3 crystal. The functional is GGA-PBE.

Calculated values
Final energy (eV per atom): -9.206
Space-group type: I4/mmm

```
data_Hf4NiRh3
_chemical_formula_sum 'Hf8 Ni2 Rh6'
_cell_length_a 4.595
_cell_length_b 4.595
_cell_length_c 13.041
_cell_angle_alpha 90.00
_cell_angle_beta 90.00
_cell_angle_gamma 90.00
_symmetry_space_group_name_H-M 'P 1'
_symmetry_Int_Tables_number 1
_symmetry_space_group_name_Hall 'P 1'
loop_
_atom_site_label
_atom_site_type_symbol
_atom_site_fract_x
_atom_site_fract_y
_atom_site_fract_z
Hf1 Hf 0.000 0.500 0.123
Hf2 Hf 0.000 0.500 0.377
Hf3 Hf 0.000 0.500 0.623
Hf4 Hf 0.000 0.500 0.877
Hf5 Hf 0.500 0.000 0.123
Hf6 Hf 0.500 0.000 0.377
Hf7 Hf 0.500 0.000 0.623
Hf8 Hf 0.500 0.000 0.877
Ni1 Ni 0.000 0.000 0.000
Ni2 Ni 0.500 0.500 0.500
Rh1 Rh 0.000 0.000 0.248
Rh2 Rh 0.000 0.000 0.500
Rh3 Rh 0.000 0.000 0.752
Rh4 Rh 0.500 0.500 0.000
Rh5 Rh 0.500 0.500 0.252
Rh6 Rh 0.500 0.500 0.748
```

---

No. 2
This record from Alexandria describes a relaxed CaInSn4 crystal. The functional is GGA-PBE.

Calculated values
Final energy (eV per atom): -3.631
Space-group type: Cmmm

```
data_CaInSn4
_chemical_formula_sum 'Ca2 In2 Sn8'
_cell_length_a 5.047
_cell_length_b 12.545
_cell_length_c 5.245
_cell_angle_alpha 90.00
_cell_angle_beta 90.00
_cell_angle_gamma 90.00
_symmetry_space_group_name_H-M 'P 1'
_symmetry_Int_Tables_number 1
_symmetry_space_group_name_Hall 'P 1'
loop_
_atom_site_label
_atom_site_type_symbol
_atom_site_fract_x
_atom_site_fract_y
_atom_site_fract_z
Ca1 Ca 0.000 0.000 0.000
Ca2 Ca 0.500 0.500 0.000
In1 In 0.000 0.500 0.500
In2 In 0.500 0.000 0.500
Sn1 Sn 0.000 0.170 0.500
Sn2 Sn 0.000 0.321 0.000
Sn3 Sn 0.000 0.679 0.000
Sn4 Sn 0.000 0.830 0.500
Sn5 Sn 0.500 0.179 0.000
Sn6 Sn 0.500 0.330 0.500
- - -

No. 1
This record from Alexandria describes a relaxed Hf4NiRh3 crystal. The functional is GGA-PBE.

Calculated values
Final energy (eV per atom): -9.206
Space-group type: I4/mmm

```
data_Hf4NiRh3
_chemical_formula_sum 'Hf8 Ni2 Rh6'
_cell_length_a 4.595
_cell_length_b 4.595
_cell_length_c 13.041
_cell_angle_alpha 90.00
_cell_angle_beta 90.00
_cell_angle_gamma 90.00
_symmetry_space_group_name_H-M 'P 1'
_symmetry_Int_Tables_number 1
_symmetry_space_group_name_Hall 'P 1'
loop_
_atom_site_label
_atom_site_type_symbol
_atom_site_fract_x
_atom_site_fract_y
_atom_site_fract_z
Hf1 Hf 0.000 0.500 0.123
Hf2 Hf 0.000 0.500 0.377
Hf3 Hf 0.000 0.500 0.623
Hf4 Hf 0.000 0.500 0.877
Hf5 Hf 0.500 0.000 0.123
Hf6 Hf 0.500 0.000 0.377
Hf7 Hf 0.500 0.000 0.623
Hf8 Hf 0.500 0.000 0.877
Ni1 Ni 0.000 0.000 0.000
Ni2 Ni 0.500 0.500 0.500
Rh1 Rh 0.000 0.000 0.248
Rh2 Rh 0.000 0.000 0.500
Rh3 Rh 0.000 0.000 0.752
Rh4 Rh 0.500 0.500 0.000
Rh5 Rh 0.500 0.500 0.252
Rh6 Rh 0.500 0.500 0.748
```

---

No. 2
This record from Alexandria describes a relaxed CaInSn4 crystal. The functional is GGA-PBE.

Calculated values
Final energy (eV per atom): -3.631
Space-group type: Cmmm

```
data_CaInSn4
_chemical_formula_sum 'Ca2 In2 Sn8'